
Wilson Names Appeals Judge to Supreme Court : Law: Kathryn Werdegar was an aide to retired Justice Panelli. She is a conservative and a friend of the governor.


Gov. Pete Wilson on Tuesday nominated Kathryn M. Werdegar, an old friend and a conservative state appellate judge, to fill a vacancy on the California Supreme Court.

Werdegar, 58, has only three years of judicial experience, serving as a Wilson appointee on the California Court of Appeal in San Francisco. But she worked for six years as a senior attorney for retired Justice Edward Panelli, whose seat she will take, and knows the workings of the high court well.

“I feel that I’ve been exposed perhaps to more appellate opinions and been more deeply involved with appellate opinions than perhaps many other justices,” she said at a news conference with Wilson on Tuesday.


The governor, who is up for reelection, had been under pressure to name a minority or a woman. His only other high court appointee, Ronald George, a white man, replaced Justice Allen Broussard, who is black.

If Werdegar is confirmed, the court will have two female justices for the first time. The other is Justice Joyce Kennard, who is part Indonesian and the only minority now on the court. The first woman appointed to the state high court was Rose Bird, who was ousted by voters in 1986 amid controversy over her liberal rulings.

Associates describe Werdegar as extremely bright and hard working, an independent conservative who often agonizes over her rulings and whose decisions cannot be easily predicted. She also is considered both a good researcher and a skilled writer, a combination that many judges lament is too often lacking on the appellate bench.


“She knows how to say no, even in the close quarters of a small appellate court where there is quite a bit of built-in pressure to go along,” said state Court of Appeal Justice Marc Poche, who also serves in San Francisco. “She is not the sort of person who is going to be pushed around by lawyers or judges or anyone else.”

The California Supreme Court is dominated by conservatives who tend to vote alike. They affirm more death penalty cases than any other state supreme court in the country and tend to favor insurance companies and other businesses in their civil rulings.

The Commission on Judicial Appointments is expected to confirm Werdegar within the next several weeks. She must ultimately be approved by voters on the statewide ballot in November.


Asked whether he thought Werdegar’s appointment would help him against Democratic front-runner Kathleen Brown, Wilson said: “I hope so. That’s not why I did it, but that certainly is a fringe benefit I would desire.”

Wilson and Werdegar have been friends since they were law students at UC Berkeley, and she has contributed a total of $3,500 to his campaigns over the years. Knowing her personally was comforting in making the nomination, Wilson said, but their friendship was not the determining factor.

“What is important is the nominee’s qualifications,” he said.

Werdegar does not espouse judicial activism.

“If I had to characterize my judicial philosophy,” she said, “I would say that I firmly believe in the concept of restraint. I believe it is the role of the courts to interpret the laws as written and to leave the Legislature the responsibility to create the laws.”

Werdegar, a third-generation San Franciscan, formerly served as associate dean and professor at the University of San Francisco School of Law and as a senior staff attorney in the Court of Appeal for about five years before her work for Panelli. Panelli liked her so much that he singled her out as a possible replacement when he announced his retirement in September.

She graduated first in her class from law school, became the first woman to be named editor of the law review at UC Berkeley and has written a book about criminal law procedure. On criminal matters, Werdegar has ruled for both prosecutors and defense attorneys.

“I am cautiously optimistic she will be a good justice for the prosecution,” said Edward W. Hunt, president of the California District Attorneys Assn. “I don’t have any reason to believe she will not be.”


The California Attorneys for Criminal Justice, an association of criminal defense attorneys, has not yet decided whether to take a position on her nomination.

But James Thomson, who is president of the group, said he fears Werdegar may follow in the footsteps of Panelli, who Thomson said cared too little about individuals’ constitutional rights.

Although Werdegar has ruled for the defense in some criminal cases, Thomson said those decisions were compelled by the law and would not even seem striking if it were not for the strongly conservative bent of California’s current crop of appellate judges.

“While we may be in a period of time where standing up for reasonable doubt instruction seems to be courageous, the history of California jurisprudence has always demanded that instruction,” the Sacramento defense attorney said.

Criminal defense attorney Dennis Riordan noted that Werdegar was the lead judge in a decision involving a murder case that infuriated the defense bar and prompted law school professors to write the court demanding reconsideration. Werdegar and her fellow panelists upheld a murder conviction even though the judge had failed to instruct the jury properly.

Faced with the uproar, Werdegar and the other judges reconsidered the case and reversed themselves. They held that the defendant should have a new trial.


“What that suggests to me is she is actually somebody who is affected by legal reasoning and is concerned about the state of the law,” Riordan said. “She does at some level try to work from the law to the result--as opposed to from the result backwards to the law. That is a refreshing change from the person she will succeed on the court.”

Most analysts said her lack of lengthy judicial experience will be overcome by her many years as a staff attorney on appellate courts. But one appellate judge, speaking on the condition of anonymity, said her lack of trial experience could be a drawback.

“Trial judges are down there looking at cases and making decisions very, very quickly,” said the source. “They don’t have time to back and research everything. I think missing that (experience) may be a detriment. . . . “

But the judge said Werdegar often asks questions to try to understand the experiences of trial judges. “So I think she has the right instincts,” the judge said.

Werdegar is soft-spoken, intense and at times shy, associates say.

“If you were sitting at a table with her and her husband and another couple,” said Court of Appeal Justice Poche, “and you didn’t know what her education was or what she did for a living . . . it would take some time to dig that out. She would not be like some lawyers or judges who have to right away establish their educational expertise and place in the hierarchy.”

Some analysts said Werdegar may follow the path of Justice Kennard, who was considered a conservative when former Gov. George Deukmejian appointed her but now often votes against the conservative majority.


“She is the kind of judge who will grow,” Poche said of Werdegar. “Maybe that means she goes to the left, maybe to the right. I don’t know. But I don’t have any doubt that she will be very independent.”

Justice Stanley Mosk, the only liberal on the high court, praised Werdegar as a “mature person who appears to be very thoughtful.” He said he has admired some of her opinions on the Court of Appeal.

Former Justice Panelli praised his protege. “She is an intelligent, hard-working, independent and fair-minded jurist,” he said.

But Gerald Uelmen, dean of the University of Santa Clara law school, lamented Wilson’s failure to appoint a minority.

“It certainly shows he is not as concerned as he should be about the issue of ethnic diversity,” Uelmen said.

Uelmen called Werdegar the most conservative of the finalists for the job, who included a Latino, an African American and a Chinese American.


“I think she will just fit in right where Panelli was, with a very low dissent rate,” Uelmen said.

Wilson also interviewed California Court of Appeal Justice Ming Chin, who was widely regarded as a favorite for the job. Chin, who serves on the same panel as Werdegar, praised her as “a real joy to work with--bright and industrious.”

Wilson predicted that Werdegar will become a leader on the court “because I think she has the collegial personality to develop consensus.

“She is a brilliant legal scholar,” he said. “She enjoys an extraordinary ability--a very rare one--to make complex subjects clear.”

Wilson had been criticized for taking so long to name a new justice. Panelli told Wilson in early September that he was going to retire and stepped down Jan. 31.

Uelmen called Werdegar’s confirmation by the Commission on Judicial Appointments a “foregone conclusion.”


“I would hope they would conduct (a hearing) just as quickly as possible,” he said. “I think she is badly needed in terms of the court keeping up with its caseload.”

Dolan reported from Los Angeles and Weintraub from Sacramento.

Profile: Kathryn Mickle Werdegar

* Born: April 5, 1936

* Residence: Ross.

* Education: Wellesley College, 1955; attended University of California, Berkeley, School of Law for two years, was first woman editor of the Boalt Hall law review; graduated from George Washington University School of Law, 1962.

* Career highlights: State appellate court justice, 1991-1994; senior staff attorney to California Supreme Court Justice Edward Panelli, 1985-1991; senior staff attorney, California 1st District Court of Appeal, 1981-1985; former associate dean, University of San Francisco School of Law.

* Interests: hiking.

* Family: Married to Dr. David Werdegar, director of the California Office of Statewide Health Planning and Development. Two sons, Maurice and Matthew.

Here the piece breaks off for crystal structures:
~~~
(1)
For NbTlHg2, a cell relaxed with GGA-PBE gives the calculated PXRD pattern in this record (copper Kα).
Neutral-atom scattering factors, no anomalous dispersion.

Atomic structure:
Lattice parameters (Å, degrees): 7.979 7.979 5.994 90.00 90.00 90.00
Fractional coordinates of all 16 atoms:
1 Nb 0.000 0.000 0.000
2 Nb 0.000 0.500 0.250
3 Nb 0.500 0.000 0.750
4 Nb 0.500 0.500 0.500
5 Tl 0.000 0.000 0.500
6 Tl 0.000 0.500 0.750
7 Tl 0.500 0.000 0.250
8 Tl 0.500 0.500 0.000
9 Hg 0.236 0.250 0.125
10 Hg 0.250 0.736 0.375
11 Hg 0.250 0.764 0.875
12 Hg 0.264 0.250 0.625
13 Hg 0.736 0.750 0.625
14 Hg 0.750 0.236 0.875
15 Hg 0.750 0.264 0.375
16 Hg 0.764 0.750 0.125

Top 10 peaks for 2θ = 15–90°, by angle:
- (2 2 0), 31.72 deg, d = 2.821 Å, I 100
- (1 1 2), 33.87 deg, d = 2.647 Å, I 87
- (4 0 0), 45.47 deg, d = 1.995 Å, I 37
- (3 1 2), 47.08 deg, d = 1.930 Å, I 69
- (3 3 2), 57.89 deg, d = 1.593 Å, I 18
- (2 0 4), 66.68 deg, d = 1.403 Å, I 24
- (5 1 2), 67.53 deg, d = 1.387 Å, I 23
- (6 2 0), 75.34 deg, d = 1.262 Å, I 16
- (5 3 2), 76.54 deg, d = 1.245 Å, I 16
- (4 2 4), 84.42 deg, d = 1.147 Å, I 25

***

(2)
For UNbHg, a cell relaxed with GGA-PBE gives the calculated PXRD pattern in this record (copper Kα).
Neutral-atom scattering factors, no anomalous dispersion.

Atomic structure:
Lattice parameters (Å, degrees): 5.247 8.487 5.790 90.00 90.00 90.00
Fractional coordinates of all 12 atoms:
1 U 0.000 0.000 0.000
2 U 0.000 0.000 0.500
3 U 0.500 0.500 0.000
4 U 0.500 0.500 0.500
5 Nb 0.000 0.285 0.250
6 Nb 0.000 0.715 0.750
7 Nb 0.500 0.215 0.750
8 Nb 0.500 0.785 0.250
9 Hg 0.000 0.356 0.750
10 Hg 0.000 0.644 0.250
11 Hg 0.500 0.144 0.250
12 Hg 0.500 0.856 0.750

Top 10 peaks for 2θ = 15–90°, by angle:
- (0 2 1), 26.03 deg, d = 3.423 Å, I 21
- (2 0 0), 34.18 deg, d = 2.624 Å, I 61
- (1 3 0), 36.07 deg, d = 2.490 Å, I 85
- (1 1 2), 37.01 deg, d = 2.429 Å, I 100
- (0 2 2), 37.61 deg, d = 2.391 Å, I 45
- (2 2 2), 51.72 deg, d = 1.767 Å, I 36
- (3 3 0), 62.42 deg, d = 1.488 Å, I 18
- (3 1 2), 63.06 deg, d = 1.474 Å, I 22
- (2 4 2), 65.08 deg, d = 1.433 Å, I 18
- (1 3 4), 76.06 deg, d = 1.251 Å, I 20

***

(3)
For Nb3VHg, a cell relaxed with GGA-PBE gives the calculated PXRD pattern in this record (copper Kα).
Neutral-atom scattering factors, no anomalous dispersion.

Atomic structure:
Lattice parameters (Å, degrees): 4.661 4.661 4.661 90.00 90.00 90.00
Fractional coordinates of all 5 atoms:
1 Nb 0.000 0.000 0.500
2 Nb 0.000 0.500 0.000
3 Nb 0.500 0.000 0.000
4 V 0.000 0.000 0.000
5 Hg 0.500 0.500 0.500

Top 10 peaks for 2θ = 15–90°, by angle:
- (1 1 0), 27.05 deg, d = 3.296 Å, I 32
- (1 1 1), 33.29 deg, d = 2.691 Å, I 100
- (2 0 0), 38.63 deg, d = 2.331 Å, I 75
- (2 1 1), 47.80 deg, d = 1.903 Å, I 14
- (2 2 0), 55.78 deg, d = 1.648 Å, I 51
- (3 1 0), 63.07 deg, d = 1.474 Å, I 6
- (3 1 1), 66.53 deg, d = 1.405 Å, I 41
- (2 2 2), 69.91 deg, d = 1.346 Å, I 17
- (3 2 1), 76.46 deg, d = 1.246 Å, I 7
- (4 0 0), 82.84 deg, d = 1.165 Å, I 8

***

(4)
~~~

* Quote: “If I had to characterize my judicial philosophy I would say that I firmly believe in the concept of restraint. I believe it is the role of the courts to interpret and apply the laws as written and to leave to the Legislature the responsibility to create the laws.”
